File:
Material: AlFe2Ir
Method: DFT, PBE
State: optimized geometry

Results
- energy of formation (eV per atom) = -0.35
- total moment (Bohr magnetons per cell) = 4.84
- VASP energy (eV/atom) = -7.7319
- calculated volume (Å³/atom) = 12.896

```
data_AlFe2Ir
_cell_length_a 2.9399
_cell_length_b 4.1102
_cell_length_c 4.2689
_cell_angle_alpha 90.00
_cell_angle_beta 90.00
_cell_angle_gamma 90.00
_space_group_name_H-M_alt 'P m m m'
_space_group_IT_number 47
_space_group_name_Hall '-P 2 2'
loop_
_atom_site_label
_atom_site_type_symbol
_atom_site_fract_x
_atom_site_fract_y
_atom_site_fract_z
Al1 Al 0.0000 0.0000 0.0000
Fe1 Fe 0.0000 0.5000 0.5000
Fe2 Fe 0.5000 0.0000 0.5000
Ir1 Ir 0.5000 0.5000 0.0000
```


No. 1
Here is a relaxed RuAu2 crystal from the Alexandria database. Energies are from PBE.

Lattice parameters (Å, degrees): 4.6186 4.6186 5.5931 90.00 90.00 120.00
With the nearest neighbours (Å) after each atom.
Space group P6_3/mmc (No. 194)
Asymmetric unit:
Ru (0.3333, 0.6667, 0.2500) (multiplicity 2)  5 Au 2.67-2.80
Au (0.0000, 0.0000, 0.0000) (multiplicity 2)  8 Au 2.80-3.01, 6 Ru 3.01
Au (0.3333, 0.6667, 0.7500) (multiplicity 2)  5 Ru 2.67-2.80

Computed properties:
The value obtained for the volume is 17.22 Å³/atom. Its energy above the lowest structure with this stoichiometry is 0.720 eV per formula unit.



No. 2
Here is a relaxed RuAu crystal from the Alexandria database. Energies are from PBE.

Lattice parameters (Å, degrees): 2.8123 2.8123 8.1359 90.00 90.00 90.00
With the nearest neighbours (Å) after each atom.
Space group P4/nmm (No. 129, origin choice 2)
Asymmetric unit:
Ru (0.2500, 0.2500, 0.0994) (multiplicity 2)  8 Ru 2.56-2.81
Au (0.2500, 0.2500, 0.6389) (multiplicity 2)  8 Au 2.81-3.01, 4 Ru 2.91

Computed properties:
The value obtained for the volume is 16.09 Å³/atom. Its energy above the lowest structure with this stoichiometry is 0.000 eV per formula unit.



| no. | theoretical density (g/cm3) | formation enthalpy at 0 K (meV/atom) |
| --- | --- | --- |
| 1 | 15.91 | 552 |
| 2 | 15.38 | 178 |

Activity:
What is needed: restate only the last part of the listing further up, starting with the line that has "_atom_site_fract_y".

Outcome:
_atom_site_fract_y
_atom_site_fract_z
Al1 Al 0.0000 0.0000 0.0000
Fe1 Fe 0.0000 0.5000 0.5000
Fe2 Fe 0.5000 0.0000 0.5000
Ir1 Ir 0.5000 0.5000 0.0000
```


No. 1
Here is a relaxed RuAu2 crystal from the Alexandria database. Energies are from PBE.

Lattice parameters (Å, degrees): 4.6186 4.6186 5.5931 90.00 90.00 120.00
With the nearest neighbours (Å) after each atom.
Space group P6_3/mmc (No. 194)
Asymmetric unit:
Ru (0.3333, 0.6667, 0.2500) (multiplicity 2)  5 Au 2.67-2.80
Au (0.0000, 0.0000, 0.0000) (multiplicity 2)  8 Au 2.80-3.01, 6 Ru 3.01
Au (0.3333, 0.6667, 0.7500) (multiplicity 2)  5 Ru 2.67-2.80

Computed properties:
The value obtained for the volume is 17.22 Å³/atom. Its energy above the lowest structure with this stoichiometry is 0.720 eV per formula unit.



No. 2
Here is a relaxed RuAu crystal from the Alexandria database. Energies are from PBE.

Lattice parameters (Å, degrees): 2.8123 2.8123 8.1359 90.00 90.00 90.00
With the nearest neighbours (Å) after each atom.
Space group P4/nmm (No. 129, origin choice 2)
Asymmetric unit:
Ru (0.2500, 0.2500, 0.0994) (multiplicity 2)  8 Ru 2.56-2.81
Au (0.2500, 0.2500, 0.6389) (multiplicity 2)  8 Au 2.81-3.01, 4 Ru 2.91

Computed properties:
The value obtained for the volume is 16.09 Å³/atom. Its energy above the lowest structure with this stoichiometry is 0.000 eV per formula unit.



| no. | theoretical density (g/cm3) | formation enthalpy at 0 K (meV/atom) |
| --- | --- | --- |
| 1 | 15.91 | 552 |
| 2 | 15.38 | 178 |